**What to do**
Search the data further below for the word "with" and print each line that has it.

**Given**
=====
The following is a DFT calculation (GGA+U) of Ca8Ti3Mn5O24 after structural relaxation.

```
Ca8Ti3Mn5O24
1.0
7.6824 0.0000 0.0000
0.0000 7.6824 0.0000
0.0000 0.0000 7.6699
Ca Ti Mn O
8 3 5 24
Direct
0.2477 0.2477 0.2427
0.2477 0.2477 0.7573
0.2477 0.7523 0.2427
0.2477 0.7523 0.7573
0.7523 0.2477 0.2427
0.7523 0.2477 0.7573
0.7523 0.7523 0.2427
0.7523 0.7523 0.7573
0.0000 0.5000 0.5000
0.5000 0.0000 0.5000
0.5000 0.5000 0.5000
0.0000 0.0000 0.0000
0.0000 0.0000 0.5000
0.0000 0.5000 0.0000
0.5000 0.0000 0.0000
0.5000 0.5000 0.0000
0.0000 0.0000 0.2494
0.0000 0.0000 0.7506
0.0000 0.2472 0.5000
0.0000 0.2498 0.0000
0.0000 0.5000 0.2465
0.0000 0.5000 0.7535
0.0000 0.7502 0.0000
0.0000 0.7528 0.5000
0.2472 0.0000 0.5000
0.2495 0.5000 0.5000
0.2498 0.0000 0.0000
0.2499 0.5000 0.0000
0.5000 0.0000 0.2465
0.5000 0.0000 0.7535
0.5000 0.2495 0.5000
0.5000 0.2499 0.0000
0.5000 0.5000 0.2462
0.5000 0.5000 0.7538
0.5000 0.7501 0.0000
0.5000 0.7505 0.5000
0.7502 0.0000 0.0000
0.7501 0.5000 0.0000
0.7505 0.5000 0.5000
0.7528 0.0000 0.5000
```

Calculated density: 4.1 Mg/m³
Energy above the lowest structure with this stoichiometry: 57.4 meV/atom
Energy of formation: -2.833 eV per atom
Total energy after the MP2020 corrections: -7.941 eV per atom
E_tot: -7.320 eV per atom

The following is a DFT calculation (GGA+U) of Li6Ti3VP6O24 after structural relaxation.

```
Li6Ti3VP6O24
1.0
8.5416 0.0000 0.0000
3.9321 7.6373 0.0000
3.9275 2.4208 7.2501
Li Ti V P O
6 3 1 6 24
Direct
0.0000 0.0000 0.0000
0.0807 0.5144 0.8838
0.2707 0.8557 0.6473
0.4753 0.6912 0.3115
0.7173 0.3593 0.1494
0.9068 0.0842 0.4893
0.3915 0.9988 0.7901
0.5991 0.2148 0.0069
0.8929 0.5026 0.3026
0.1013 0.7075 0.5072
0.1986 0.1063 0.1919
0.2998 0.6066 0.1005
0.4987 0.3955 0.6083
0.6941 0.9098 0.4029
0.7893 0.8121 0.9061
0.9970 0.3038 0.7065
0.0108 0.2656 0.2190
0.0526 0.4588 0.6860
0.1328 0.5482 0.1431
0.1505 0.1103 0.7258
0.1872 0.9484 0.3790
0.2186 0.0530 0.0328
0.2822 0.6572 0.2583
0.2964 0.7735 0.9186
0.3423 0.5838 0.5933
0.3652 0.1650 0.1418
0.4384 0.2349 0.6452
0.4872 0.4508 0.0683
0.5056 0.9253 0.5597
0.5664 0.3509 0.7660
0.6201 0.8555 0.8541
0.6551 0.4171 0.4173
0.6791 0.0926 0.2374
0.7324 0.7433 0.3478
0.7641 0.9693 0.9649
0.8064 0.6226 0.0646
0.8430 0.2719 0.8986
0.8527 0.8875 0.4571
0.9387 0.3411 0.5436
0.9752 0.7908 0.7474
```

Calculated density: 2.8 Mg/m³
Energy of formation: -2.817 eV per atom
Total energy after the MP2020 corrections: -7.703 eV per atom
E_tot: -7.248 eV per atom

The following is a DFT calculation (GGA+U) of La2Mo4O15 after structural relaxation.

```
La2Mo4O15
1.0
20.3582 0.0000 0.0000
0.0000 13.2623 0.0000
-1.2914 0.0000 14.0330
La Mo O
24 48 180
Direct
0.0458 0.1171 0.2159
0.0458 0.3829 0.7159
0.1229 0.6144 0.1478
0.1229 0.8856 0.6478
0.2097 0.1323 0.0560
0.2097 0.3677 0.5560
0.2941 0.6250 0.9770
0.2941 0.8750 0.4770
0.3656 0.1269 0.8887
0.3656 0.3731 0.3887
0.4448 0.6585 0.8226
0.4448 0.8415 0.3226
0.5552 0.1585 0.6774
0.5552 0.3415 0.1774
0.6344 0.6269 0.6113
0.6344 0.8731 0.1113
0.7059 0.1250 0.5230
0.7059 0.3750 0.0230
0.7903 0.6323 0.4440
0.7903 0.8677 0.9440
0.8771 0.1144 0.3522
0.8771 0.3856 0.8522
0.9542 0.6171 0.2841
0.9542 0.8829 0.7841
0.0107 0.5976 0.8734
0.0107 0.9024 0.3734
0.0163 0.1527 0.9336
0.0163 0.3473 0.4336
0.1337 0.6425 0.4220
0.1337 0.8575 0.9220
0.1468 0.0880 0.4852
0.1468 0.4120 0.9852
0.1620 0.5944 0.7301
0.1620 0.9056 0.2301
0.1723 0.1586 0.7841
0.1723 0.3414 0.2841
0.2905 0.6481 0.2758
0.2905 0.8519 0.7758
0.3195 0.5851 0.5887
0.3195 0.9149 0.0887
0.3569 0.1564 0.5958
0.3569 0.3436 0.0958
0.3601 0.0818 0.2822
0.3601 0.4182 0.7822
0.4796 0.6632 0.0988
0.4796 0.8368 0.5988
0.4836 0.0636 0.1253
0.4836 0.4364 0.6253
0.5164 0.5636 0.3747
0.5164 0.9364 0.8747
0.5204 0.1632 0.4012
0.5204 0.3368 0.9012
0.6399 0.5818 0.2178
0.6399 0.9182 0.7178
0.6431 0.6564 0.9042
0.6431 0.8436 0.4042
0.6805 0.0851 0.9113
0.6805 0.4149 0.4113
0.7095 0.1481 0.2242
0.7095 0.3519 0.7242
0.8277 0.6586 0.7159
0.8277 0.8414 0.2159
=====

**Completed**
Energy above the lowest structure with this stoichiometry: 57.4 meV/atom